-- Job --
Could you reproduce the lines further down up to the one that holds "0.396431 0.0", that line included?

-- File --
____________
The following is a quantum chemistry calculation of a structure of composition C35H26BaIN2O4P, from OMol25.

```
70
Properties=species:S:1:pos:R:3:forces:R:3
C -4.021799 1.529565 -1.096507 -0.1 0.1 0.1
C -5.834432 3.031720 -0.948707 -0.7 0.7 0.7
C 0.676694 -2.148283 4.767661 0.2 -0.1 0.0
H -1.732051 2.714167 -5.534183 0.0 0.0 0.1
H 3.812154 -1.412078 3.597256 0.0 -0.1 0.0
C -0.111754 -2.010584 5.903233 -0.1 0.1 -0.2
C -2.738423 1.005854 -0.557429 0.1 -0.2 0.3
C 3.143727 0.192620 1.182119 0.1 -0.1 0.0
C -0.921149 2.074884 -5.200840 0.1 -0.1 0.3
H -1.635472 2.035253 -3.191678 0.1 -0.1 0.0
N -6.554265 4.130569 -0.203482 1.0 0.0 -0.8
Ba -0.173982 0.391531 -0.674197 3.2 -0.6 0.4
H 0.403311 0.912915 3.031492 0.0 0.0 0.0
C 2.673789 -2.812556 2.422264 0.2 -0.1 0.1
H -4.039600 0.213547 -2.783795 0.0 0.0 0.0
C 3.759903 -2.424919 3.208763 0.1 0.0 0.1
H 3.592767 -6.029301 1.818838 0.0 0.0 0.0
C -0.836915 1.651518 -3.840910 -0.3 0.2 0.1
C 1.763727 2.353740 2.229608 0.0 -0.1 0.0
H 3.976913 -1.524074 -4.572930 0.0 0.0 0.0
C -1.350627 -1.387950 5.795908 0.1 0.0 0.0
H 2.012487 0.771725 -7.612203 0.0 0.0 0.0
H -4.252799 2.977907 0.489662 0.0 0.0 0.0
H -2.366304 -0.197455 2.173094 0.0 0.0 0.1
N -1.448247 -0.619486 2.160929 0.1 -0.2 0.2
H -1.974175 -1.260890 6.673013 0.0 0.0 0.0
H 3.702507 -0.639554 0.768155 0.0 0.0 0.0
C 3.107345 -0.395668 -6.213882 0.1 -0.2 0.2
H 4.518473 1.633625 0.396431 0.0 0.0 0.0
C 0.030161 1.678838 -6.083631 0.2 -0.1 -0.1
C 1.095494 0.836292 -5.657219 -0.1 0.2 -0.3
H -7.304592 3.003169 -2.490835 0.0 0.0 0.0
C 1.980433 -0.043793 1.921464 0.1 0.1 0.2
C 0.256236 -1.679143 3.524110 0.2 0.0 0.2
O -2.471201 -0.235798 -0.700122 -1.4 0.7 0.1
H -2.781095 -0.480704 4.469780 0.0 0.0 0.0
C -4.661255 2.557492 -0.418162 0.2 -0.1 0.0
H 3.278822 3.577056 1.320390 0.0 0.0 0.0
C 3.613807 1.481962 0.972483 -0.1 0.0 0.0
P 1.279462 -1.741754 1.999658 -0.4 0.2 -0.2
O -7.465263 4.682086 -0.777546 -0.4 -0.1 0.1
H 0.243778 -2.377615 6.857465 0.0 0.0 0.0
C 0.151649 0.843302 -3.315046 0.5 -0.2 -1.0
C 2.630408 -4.112871 1.921909 0.1 -0.1 0.0
O -6.098139 4.465343 0.866173 -0.1 -0.1 0.3
C -4.552453 1.019969 -2.275913 -0.2 0.0 0.0
C 4.715837 -4.626417 3.001099 0.0 0.1 0.0
C 3.642457 -5.022579 2.214854 -0.1 0.2 0.0
H 1.648379 -2.624434 4.853876 -0.1 0.0 0.0
H -1.427100 -1.340245 1.447026 -0.1 0.0 0.1
H -6.136256 1.170351 -3.719741 0.0 0.0 0.0
C -5.726647 1.550914 -2.793428 0.0 0.1 0.0
C -1.015375 -1.107272 3.428363 -0.3 0.3 -0.6
C 2.088284 0.422386 -6.587883 -0.2 0.1 0.1
C 1.299867 1.058977 2.448050 0.1 0.1 0.0
I 2.401636 -1.241866 -2.053464 0.3 -0.3 -0.1
C 2.226666 -0.452445 -3.993037 -0.3 0.2 0.0
C -1.804513 -0.944127 4.561182 0.1 -0.1 0.2
C 3.180798 -0.858982 -4.874227 -0.1 0.2 -0.5
H -0.004408 1.991031 -7.123125 0.0 0.0 0.1
H 5.509954 -5.328279 3.224362 0.0 0.0 0.0
H 5.616393 -3.015299 4.106131 0.0 0.0 0.0
C -6.386515 2.572144 -2.120236 0.0 -0.3 -0.3
C 1.135365 0.422924 -4.300185 0.1 -0.2 0.4
H 1.216960 3.190779 2.645568 0.0 0.0 0.0
O -1.913628 1.830321 -0.037550 -2.1 0.3 0.1
H 3.857777 -0.706751 -6.929770 0.0 0.0 0.0
C 4.776854 -3.325817 3.496336 -0.1 0.0 -0.1
C 2.919064 2.569857 1.489926 0.0 -0.1 0.0
H 1.800098 -4.417343 1.293233 0.0 0.0 0.0
```
Forces are in eV/Å.

Output
energy relative to the best compared isomer or geometry (same formula, charge and spin): 1.334 eV
LUMO: -0.23 eV
net charge: 0
HOMO energy: -7.529 eV
spin multiplicity: 1
M: 833.809 g mol⁻¹

The following is a quantum chemistry calculation of a structure of composition C35H26BaIN2O4P, from OMol25.

```
70
Properties=species:S:1:pos:R:3:forces:R:3
H -0.788445 6.536132 1.906391 0.0 0.0 0.0
I 1.598478 0.536965 2.401815 0.0 0.0 0.0
H -3.454994 -7.913841 0.294860 0.0 0.0 0.0
C -1.772025 -1.223611 1.635220 0.0 0.0 0.0
H -3.331408 -1.651625 -1.341514 0.0 0.0 0.0
O 2.363330 -2.606865 -8.508636 0.0 0.0 0.0
H 3.151686 -3.666732 3.223691 0.0 0.0 0.0
H 0.444783 6.158848 3.968875 0.0 0.0 0.0
C -2.634058 -4.639606 0.647231 0.0 0.0 0.0
H -0.840103 -4.949855 2.405583 0.0 0.0 0.0
____________

-- Solution --
The following is a quantum chemistry calculation of a structure of composition C35H26BaIN2O4P, from OMol25.

```
70
Properties=species:S:1:pos:R:3:forces:R:3
C -4.021799 1.529565 -1.096507 -0.1 0.1 0.1
C -5.834432 3.031720 -0.948707 -0.7 0.7 0.7
C 0.676694 -2.148283 4.767661 0.2 -0.1 0.0
H -1.732051 2.714167 -5.534183 0.0 0.0 0.1
H 3.812154 -1.412078 3.597256 0.0 -0.1 0.0
C -0.111754 -2.010584 5.903233 -0.1 0.1 -0.2
C -2.738423 1.005854 -0.557429 0.1 -0.2 0.3
C 3.143727 0.192620 1.182119 0.1 -0.1 0.0
C -0.921149 2.074884 -5.200840 0.1 -0.1 0.3
H -1.635472 2.035253 -3.191678 0.1 -0.1 0.0
N -6.554265 4.130569 -0.203482 1.0 0.0 -0.8
Ba -0.173982 0.391531 -0.674197 3.2 -0.6 0.4
H 0.403311 0.912915 3.031492 0.0 0.0 0.0
C 2.673789 -2.812556 2.422264 0.2 -0.1 0.1
H -4.039600 0.213547 -2.783795 0.0 0.0 0.0
C 3.759903 -2.424919 3.208763 0.1 0.0 0.1
H 3.592767 -6.029301 1.818838 0.0 0.0 0.0
C -0.836915 1.651518 -3.840910 -0.3 0.2 0.1
C 1.763727 2.353740 2.229608 0.0 -0.1 0.0
H 3.976913 -1.524074 -4.572930 0.0 0.0 0.0
C -1.350627 -1.387950 5.795908 0.1 0.0 0.0
H 2.012487 0.771725 -7.612203 0.0 0.0 0.0
H -4.252799 2.977907 0.489662 0.0 0.0 0.0
H -2.366304 -0.197455 2.173094 0.0 0.0 0.1
N -1.448247 -0.619486 2.160929 0.1 -0.2 0.2
H -1.974175 -1.260890 6.673013 0.0 0.0 0.0
H 3.702507 -0.639554 0.768155 0.0 0.0 0.0
C 3.107345 -0.395668 -6.213882 0.1 -0.2 0.2
H 4.518473 1.633625 0.396431 0.0 0.0 0.0